[Material]
Molecular formula: CH3NS3
Method: DFT, wB97M-V/def2-TZVPD

Values from the calculation:
energy relative to the best compared isomer or geometry (same formula, charge and spin)	87.6	kcal per mole
frontier orbital gap (spin up / spin down)	7.5 / 7.5	eV
LUMO level (spin up / spin down)	-0.331 / -0.331	eV

Geometry as XYZ:
```
8
CH3NS3 wB97M-V/def2-TZVPD
C -0.89 0.21 -0.05
N 1.38 -1.26 -0.07
S -0.07 1.59 0.03
S -2.42 -0.37 0.02
S 1.90 0.25 -0.09
H 1.58 -1.85 -0.88
H -3.23 0.81 -0.29
H 1.75 0.61 1.33
```

Molecular formula: C26H25AgClP2Se3Te
Method: DFT, wB97M-V/def2-TZVPD

Values from the calculation:
energy relative to the best compared isomer or geometry (same formula, charge and spin)	4.3	kcal per mole
frontier orbital gap	5.7	eV
LUMO level	2.468	eV
charge	-1

Geometry as XYZ:
```
59
C26H25AgClP2Se3Te wB97M-V/def2-TZVPD
Ag 0.54 0.64 -0.17
Cl -0.48 -2.58 1.64
C -0.13 -1.86 3.19
C 0.29 -2.72 4.19
C 0.57 -2.23 5.45
C 0.42 -0.87 5.70
C -0.01 -0.02 4.69
C -0.29 -0.49 3.41
P -0.72 0.64 2.02
C -2.50 0.29 1.77
C -3.26 -0.52 2.60
C -4.62 -0.72 2.34
C -5.21 -0.12 1.24
C -4.45 0.68 0.40
C -3.10 0.88 0.65
C -0.75 2.28 2.80
C -1.86 2.80 3.47
C -1.81 4.07 4.03
C -0.65 4.82 3.93
C 0.45 4.32 3.25
C 0.40 3.05 2.68
H 0.40 -3.77 3.96
H 0.91 -2.90 6.23
H 0.63 -0.47 6.69
H -0.13 1.03 4.90
H -2.81 -0.99 3.46
H -5.20 -1.35 3.00
H -6.26 -0.28 1.03
H -4.90 1.13 -0.48
H -2.50 1.47 -0.03
H -2.77 2.21 3.54
H -2.68 4.47 4.54
H -0.62 5.82 4.36
H 1.35 4.92 3.14
H 1.24 2.68 2.10
Se -0.22 3.11 -1.13
Se 1.90 2.81 -2.16
Te 3.36 1.73 -0.41
Se 2.81 -0.73 -0.57
C -0.33 -2.52 -2.10
P -0.98 -0.81 -1.86
C -0.48 -0.05 -3.44
C -2.78 -1.09 -2.09
C -3.44 -1.99 -1.24
C -4.81 -2.17 -1.31
C -5.57 -1.42 -2.21
C -4.93 -0.51 -3.04
C -3.55 -0.35 -2.98
H -0.69 -3.19 -1.32
H 0.76 -2.47 -2.02
H -0.61 -2.93 -3.08
H -0.90 -0.56 -4.30
H 0.61 -0.09 -3.47
H -0.75 1.01 -3.43
H -2.87 -2.54 -0.50
H -5.30 -2.87 -0.64
H -6.64 -1.55 -2.26
H -5.51 0.08 -3.74
H -3.07 0.37 -3.63
```

Molecular formula: C13H13ClN2O4S2
Method: DFT, wB97M-V/def2-TZVPD

Values from the calculation:
energy relative to the best compared isomer or geometry (same formula, charge and spin)	0.6	kcal per mole
frontier orbital gap	9.0	eV
LUMO level	0.288	eV
structure (SMILES)	CCOC(=O)c1sc(NS(=O)(=O)c2ccccc2Cl)nc1C

Geometry as XYZ:
```
35
C13H13ClN2O4S2 wB97M-V/def2-TZVPD
C 6.63 -0.41 0.47
C 5.86 -0.23 -0.83
O 4.46 -0.43 -0.62
C 3.75 0.61 -0.17
O 4.22 1.71 0.05
C 2.36 0.25 0.01
S 1.81 -1.37 -0.35
C 0.21 -0.86 0.12
N -0.87 -1.68 0.06
S -2.26 -1.28 0.98
O -1.89 -1.19 2.35
O -3.23 -2.24 0.59
C -2.65 0.35 0.36
C -2.70 1.40 1.26
C -3.00 2.67 0.81
C -3.25 2.88 -0.54
C -3.21 1.83 -1.44
C -2.91 0.55 -0.98
Cl -2.84 -0.77 -2.06
N 0.11 0.37 0.49
C 1.30 1.02 0.45
C 1.36 2.44 0.86
H 7.70 -0.32 0.27
H 6.34 0.35 1.19
H 6.44 -1.39 0.89
H 6.01 0.77 -1.23
H 6.14 -0.98 -1.57
H -0.74 -2.64 -0.22
H -2.48 1.19 2.29
H -3.03 3.50 1.50
H -3.49 3.87 -0.90
H -3.41 1.98 -2.49
H 1.08 2.53 1.91
H 2.36 2.83 0.71
H 0.64 3.01 0.28
```

Molecular formula: C36H70FN11O8
Method: DFT, wB97M-V/def2-TZVPD

Values from the calculation:
frontier orbital gap	8.3	eV
LUMO level	-0.215	eV
structure (SMILES)	NCCCCc1ccc(F)c2nccnc12.CN(C)C=O.CN(C)C=O.CN(C)C=O.CN(C)C=O.CN(C)C=O.CN(C)C=O.CN(C)C=O.CN(C)C=O

Geometry as XYZ:
```
126
C36H70FN11O8 wB97M-V/def2-TZVPD
N 5.09 -0.41 0.87
C 4.01 -0.44 -0.12
C 3.15 0.84 -0.20
C 2.56 1.31 1.14
C 1.58 0.29 1.82
C 0.73 -0.48 0.82
C 0.80 -1.84 0.82
C 0.03 -2.58 -0.14
C -0.77 -1.93 -0.99
F -1.46 -2.68 -1.88
C -0.90 -0.49 -1.03
N -1.72 0.08 -1.98
C -1.67 1.40 -1.88
C -0.93 2.14 -0.92
N -0.16 1.58 -0.02
C -0.13 0.22 -0.09
H 4.88 0.15 1.68
H 5.99 -0.18 0.47
H 3.40 -1.36 0.01
H 4.49 -0.56 -1.11
H 2.38 0.67 -0.98
H 3.79 1.65 -0.60
H 3.39 1.58 1.81
H 1.99 2.23 0.98
H 0.95 0.83 2.54
H 2.20 -0.39 2.44
H 1.47 -2.35 1.51
H 0.12 -3.67 -0.13
H -2.26 2.00 -2.61
H -0.99 3.23 -0.95
C -0.08 -7.47 -0.74
N -0.32 -7.17 0.66
C -1.47 -7.77 1.32
C 0.49 -6.36 1.36
O 0.34 -6.07 2.54
H -0.94 -7.15 -1.34
H 0.06 -8.55 -0.87
H 0.81 -6.95 -1.09
H -2.12 -6.98 1.70

[Brief]
Transcribe the material further above with every line break kept, please.

[Written answer]
Molecular formula: CH3NS3
Method: DFT, wB97M-V/def2-TZVPD

Values from the calculation:
energy relative to the best compared isomer or geometry (same formula, charge and spin)	87.6	kcal per mole
frontier orbital gap (spin up / spin down)	7.5 / 7.5	eV
LUMO level (spin up / spin down)	-0.331 / -0.331	eV

Geometry as XYZ:
```
8
CH3NS3 wB97M-V/def2-TZVPD
C -0.89 0.21 -0.05
N 1.38 -1.26 -0.07
S -0.07 1.59 0.03
S -2.42 -0.37 0.02
S 1.90 0.25 -0.09
H 1.58 -1.85 -0.88
H -3.23 0.81 -0.29
H 1.75 0.61 1.33
```

Molecular formula: C26H25AgClP2Se3Te
Method: DFT, wB97M-V/def2-TZVPD

Values from the calculation:
energy relative to the best compared isomer or geometry (same formula, charge and spin)	4.3	kcal per mole
frontier orbital gap	5.7	eV
LUMO level	2.468	eV
charge	-1

Geometry as XYZ:
```
59
C26H25AgClP2Se3Te wB97M-V/def2-TZVPD
Ag 0.54 0.64 -0.17
Cl -0.48 -2.58 1.64
C -0.13 -1.86 3.19
C 0.29 -2.72 4.19
C 0.57 -2.23 5.45
C 0.42 -0.87 5.70
C -0.01 -0.02 4.69
C -0.29 -0.49 3.41
P -0.72 0.64 2.02
C -2.50 0.29 1.77
C -3.26 -0.52 2.60
C -4.62 -0.72 2.34
C -5.21 -0.12 1.24
C -4.45 0.68 0.40
C -3.10 0.88 0.65
C -0.75 2.28 2.80
C -1.86 2.80 3.47
C -1.81 4.07 4.03
C -0.65 4.82 3.93
C 0.45 4.32 3.25
C 0.40 3.05 2.68
H 0.40 -3.77 3.96
H 0.91 -2.90 6.23
H 0.63 -0.47 6.69
H -0.13 1.03 4.90
H -2.81 -0.99 3.46
H -5.20 -1.35 3.00
H -6.26 -0.28 1.03
H -4.90 1.13 -0.48
H -2.50 1.47 -0.03
H -2.77 2.21 3.54
H -2.68 4.47 4.54
H -0.62 5.82 4.36
H 1.35 4.92 3.14
H 1.24 2.68 2.10
Se -0.22 3.11 -1.13
Se 1.90 2.81 -2.16
Te 3.36 1.73 -0.41
Se 2.81 -0.73 -0.57
C -0.33 -2.52 -2.10
P -0.98 -0.81 -1.86
C -0.48 -0.05 -3.44
C -2.78 -1.09 -2.09
C -3.44 -1.99 -1.24
C -4.81 -2.17 -1.31
C -5.57 -1.42 -2.21
C -4.93 -0.51 -3.04
C -3.55 -0.35 -2.98
H -0.69 -3.19 -1.32
H 0.76 -2.47 -2.02
H -0.61 -2.93 -3.08
H -0.90 -0.56 -4.30
H 0.61 -0.09 -3.47
H -0.75 1.01 -3.43
H -2.87 -2.54 -0.50
H -5.30 -2.87 -0.64
H -6.64 -1.55 -2.26
H -5.51 0.08 -3.74
H -3.07 0.37 -3.63
```

Molecular formula: C13H13ClN2O4S2
Method: DFT, wB97M-V/def2-TZVPD

Values from the calculation:
energy relative to the best compared isomer or geometry (same formula, charge and spin)	0.6	kcal per mole
frontier orbital gap	9.0	eV
LUMO level	0.288	eV
structure (SMILES)	CCOC(=O)c1sc(NS(=O)(=O)c2ccccc2Cl)nc1C

Geometry as XYZ:
```
35
C13H13ClN2O4S2 wB97M-V/def2-TZVPD
C 6.63 -0.41 0.47
C 5.86 -0.23 -0.83
O 4.46 -0.43 -0.62
C 3.75 0.61 -0.17
O 4.22 1.71 0.05
C 2.36 0.25 0.01
S 1.81 -1.37 -0.35
C 0.21 -0.86 0.12
N -0.87 -1.68 0.06
S -2.26 -1.28 0.98
O -1.89 -1.19 2.35
O -3.23 -2.24 0.59
C -2.65 0.35 0.36
C -2.70 1.40 1.26
C -3.00 2.67 0.81
C -3.25 2.88 -0.54
C -3.21 1.83 -1.44
C -2.91 0.55 -0.98
Cl -2.84 -0.77 -2.06
N 0.11 0.37 0.49
C 1.30 1.02 0.45
C 1.36 2.44 0.86
H 7.70 -0.32 0.27
H 6.34 0.35 1.19
H 6.44 -1.39 0.89
H 6.01 0.77 -1.23
H 6.14 -0.98 -1.57
H -0.74 -2.64 -0.22
H -2.48 1.19 2.29
H -3.03 3.50 1.50
H -3.49 3.87 -0.90
H -3.41 1.98 -2.49
H 1.08 2.53 1.91
H 2.36 2.83 0.71
H 0.64 3.01 0.28
```

Molecular formula: C36H70FN11O8
Method: DFT, wB97M-V/def2-TZVPD

Values from the calculation:
frontier orbital gap	8.3	eV
LUMO level	-0.215	eV
structure (SMILES)	NCCCCc1ccc(F)c2nccnc12.CN(C)C=O.CN(C)C=O.CN(C)C=O.CN(C)C=O.CN(C)C=O.CN(C)C=O.CN(C)C=O.CN(C)C=O

Geometry as XYZ:
```
126
C36H70FN11O8 wB97M-V/def2-TZVPD
N 5.09 -0.41 0.87
C 4.01 -0.44 -0.12
C 3.15 0.84 -0.20
C 2.56 1.31 1.14
C 1.58 0.29 1.82
C 0.73 -0.48 0.82
C 0.80 -1.84 0.82
C 0.03 -2.58 -0.14
C -0.77 -1.93 -0.99
F -1.46 -2.68 -1.88
C -0.90 -0.49 -1.03
N -1.72 0.08 -1.98
C -1.67 1.40 -1.88
C -0.93 2.14 -0.92
N -0.16 1.58 -0.02
C -0.13 0.22 -0.09
H 4.88 0.15 1.68
H 5.99 -0.18 0.47
H 3.40 -1.36 0.01
H 4.49 -0.56 -1.11
H 2.38 0.67 -0.98
H 3.79 1.65 -0.60
H 3.39 1.58 1.81
H 1.99 2.23 0.98
H 0.95 0.83 2.54
H 2.20 -0.39 2.44
H 1.47 -2.35 1.51
H 0.12 -3.67 -0.13
H -2.26 2.00 -2.61
H -0.99 3.23 -0.95
C -0.08 -7.47 -0.74
N -0.32 -7.17 0.66
C -1.47 -7.77 1.32
C 0.49 -6.36 1.36
O 0.34 -6.07 2.54
H -0.94 -7.15 -1.34
H 0.06 -8.55 -0.87
H 0.81 -6.95 -1.09
H -2.12 -6.98 1.70